Well, I just returned from being a guest speaker at a Vocations meeting, with representatives from the various orders around the Twin Cities area... And, face it, the orders that don't need vocations typically don't come to meetings to try to figure out how to get more vocations, if you get the idea...
Anyway, I was asked to come to this meeting because the members of these meetings have noticed a curious thing that I happen to be a part of, called Theology on Tap (a program for young adult ministry begun 25 years ago by the
Archdiocese of Chicago). I have been a part of a group doing TOT here in St. Paul (the only "official" TOT group here -- accept no substitutes! :) and we get between 150-170 young adults on average per night (least was 70+, most was well over 200 young adults!). This kind of success doesn't go unnoticed by those who are wondering why young adults aren't coming to their orders.
So there I was. Talking up a storm about how we began the program, how it has developed for us in the Twin Cities, and the marvelous fruits that have come from the program by the grace of the Holy Spirit. Of course, I know the crowd I'm talking too, so I'm trying my best to speak in their language, personal relationship with Jesus Christ and all that. But, they asked some direct questions, so of course, I gave them some direct answers... Here are some highlights:
I got some pointed questions about justice and diversity from Fr. "Wally." They weren't too difficult to answer, since of course, when you grow in love of God, then that love spills over into love of neighbor. The activity level of our young adults in participating in community work and "social justice" (oh, how I hate that term...) has increased dramatically since we started our efforts to help them to see the relevance of God in their lives. I think "Wally" thinks we are too focused on "us" and not enough on "neighbor;" he had a real problem when I said that Christ died on the cross, not for some ambigious "crowd," but for each and every individual that made up that "crowd," and that with Theology on Tap and other aspects of our ministry we seek to connect with the individuals of the crowd, and not just the crowd. I don't think that answer satisifed him... But he didn't really bother me, I recognized his langauge of "caring progressivism," and I noticed that no one else in the room cared to take up his fight with me.
Some other questions too as to what exactly the "answers" are that young adults are looking for... oh boy... that one opened a can of worms I'm afraid, but hey, they asked... young adults want real answers to their real questions about morality, sexuality, and faith. Answers, not suggested opinions, or approval of whatever they "feel" is right for themselves. I told them that young adults need parents, and in this time of moral crisis and lose of understanding about personhood, they see the Catholic Church as being a way to find direction in their life, so of course, that means that means that these tough questions are asked within the context of the Church -- everything from why homosexual activity is sinful, to why abortion is always morally wrong, to why women cannot become priests (yes... I actually said that... ouch.). Young adults want to know not only what the Church teaches but why, they want to find the reasons for their faith, so that the authority that they give to the Church is granted authority, not blind obedience. It got kind of quiet after that...
I spoke early on about how we go about selecting speakers and topics, which helped clarify things, I brought along copies of all of our flyers and basically walked them through most of the topics/speakers and the reasons for having them, and the fruits that came from each topic... This seemed to help a lot, by allowing me to actually tell them about what was really discussed at the evenings and the feedback we got from them. They seemed amazed at not only the sheer numbers we are ministering to, but the types of people that we are reaching. I told them about the 5+ people we know of who are in RCIA now, about the multiple engaged/married couples that have met at TOT, about the 2 women I know of who entered relgious life after being at TOT, about the countless individuals whom I and others have met at TOT and who have developed into deep relationships (in fact, one of my current roommates and I met at a Theology on Tap!). TOT is not our work, it is the work of the Holy Spirit, and we just hope to cooperate with Him. In large part due to Theology on Tap, there is a revived and thriving young adult Catholic presence in the Twin Cities today -- the Cathedral Young Adults, the Frassati Society, St. Olaf Young Adults, Corpus Christi Catechism Fund, SPO/NET Ministries, University of St. Thomas Catholic Studies, St. Kate's Catholic Club... the list goes on and on. Many of these groups existed before TOT, but it has been TOT that has brought the greatest numbers of various young adults together, so that all of the groups have tighter bonds and deeper connections, and all of them are better able to answer the call to holiness and evangelization.
Next to the piece, the page also holds crystal structures.
(1)
# LiPr2Os | the Materials Project | r2SCAN | relaxed
data_LiPr2Os
_cell_length_a 7.183
_cell_length_b 7.183
_cell_length_c 7.183
_cell_angle_alpha 90.00
_cell_angle_beta 90.00
_cell_angle_gamma 90.00
_symmetry_space_group_name_H-M 'F m -3 m'
_symmetry_Int_Tables_number 225
_symmetry_space_group_name_Hall '-F 4 2 3'
loop_
_atom_site_label
_atom_site_type_symbol
_atom_site_fract_x
_atom_site_fract_y
_atom_site_fract_z
_atom_site_occupancy
Li1 Li 0.000 0.000 0.000 1
Pr1 Pr 0.250 0.250 0.250 1
Os1 Os 0.000 0.000 0.500 1
# VASP energy   -457.72 eV for the cell shown
# E_form   -0.06 eV per atom
# Spin magnetization   0.00 μB/cell

***

(2)
# Li3P7 | the Materials Project | r2SCAN | relaxed
data_Li3P7
_cell_length_a 7.619
_cell_length_b 9.798
_cell_length_c 10.487
_cell_angle_alpha 90.00
_cell_angle_beta 90.00
_cell_angle_gamma 90.00
_symmetry_space_group_name_H-M 'P 21 21 21'
_symmetry_Int_Tables_number 19
_symmetry_space_group_name_Hall 'P 2ac 2ab'
loop_
_atom_site_label
_atom_site_type_symbol
_atom_site_fract_x
_atom_site_fract_y
_atom_site_fract_z
_atom_site_occupancy
Li1 Li 0.067 0.025 0.014 1
Li2 Li 0.096 0.802 0.807 1
Li3 Li 0.151 0.692 0.316 1
P1 P 0.034 0.930 0.235 1
P2 P 0.035 0.943 0.567 1
P3 P 0.093 0.633 0.004 1
P4 P 0.125 0.281 0.004 1
P5 P 0.138 0.048 0.389 1
P6 P 0.186 0.429 0.617 1
P7 P 0.217 0.374 0.180 1
# VASP energy   -297.74 eV for the cell shown
# E_form   -0.43 eV per atom
# Spin magnetization   0.00 μB/cell

***

(3)
# LiP | the Materials Project | r2SCAN | relaxed
data_LiP
_cell_length_a 5.582
_cell_length_b 4.930
_cell_length_c 10.222
_cell_angle_alpha 90.00
_cell_angle_beta 117.93
_cell_angle_gamma 90.00
_symmetry_space_group_name_H-M 'P 1 21/c 1'
_symmetry_Int_Tables_number 14
_symmetry_space_group_name_Hall '-P 2ybc'
loop_
_atom_site_label
_atom_site_type_symbol
_atom_site_fract_x
_atom_site_fract_y
_atom_site_fract_z
_atom_site_occupancy
Li1 Li 0.217 0.113 0.329 1
Li2 Li 0.229 0.660 0.531 1
P1 P 0.306 0.158 0.613 1
P2 P 0.316 0.605 0.292 1
# VASP energy   -100.98 eV for the cell shown
# E_form   -0.62 eV per atom
# Spin magnetization   0.00 μB/cell

***

(4)
# Li3P | the Materials Project | r2SCAN | relaxed
data_Li3P
_cell_length_a 4.2193
_cell_length_b 4.2193
_cell_length_c 7.5471
_cell_angle_alpha 90.00
_cell_angle_beta 90.00
_cell_angle_gamma 120.00
_symmetry_space_group_name_H-M 'P 63/m m c'
_symmetry_Int_Tables_number 194
_symmetry_space_group_name_Hall '-P 6c 2c'
loop_
_atom_site_label
_atom_site_type_symbol
_atom_site_fract_x
_atom_site_fract_y
_atom_site_fract_z
_atom_site_occupancy
Li1 Li 0.0000 0.0000 0.2500 1
Li2 Li 0.3333 0.6667 0.0836 1
P1 P 0.3333 0.6667 0.7500 1
# VASP energy   -38.80 eV for the cell shown
# E_form   -0.81 eV per atom
# Spin magnetization   0.00 μB/cell

***

(5)
# LiP7 | the Materials Project | r2SCAN | relaxed
data_LiP7
_cell_length_a 13.558
_cell_length_b 13.558
_cell_length_c 14.769
_cell_angle_alpha 90.00
_cell_angle_beta 90.00
_cell_angle_gamma 90.00
There was also a ringing endorsment of our group and Adoration from one of the other sisters present that I know pretty well... Apparently she came to Mass at the Cathedral a few Wednesdays ago and discovered our young adult-sponsored Holy Hour -- God bless her, that seemed to get the group interested in why young adults are interested in Adoration, leaving me wide open to talk about personal testimonies. Yay! :) I did try to speak frequently, almost in passing, about the merits of Adoration and how many young people are drawn to it, how many vocations I know of have been heard during time of Adoration. I think this all surprised them, but no one said anything else, either positive or negative, about it, which was too bad. But maybe a seed was planted, who knows?
It really was an eye-opening session for me, to see the fears that many older people have regarding the "zealous" faith of my generation. I hope that I was able to communicate to them that we both love the same Lord, and that we embrace both the best of the traditions of the faith as well as the deeper understanding of the meaning of evangelization that has flowered in the past decade or so. I hope I piqued their interest, and I hope to see some of them at our next Theology on Tap, so they can see for themselves the joy and the yearning for truth of the young adult generation of today that I tried to do my best to explain to them. I hope that they will see this, and take it back to their orders, and be open to bringing about a revival and a reform for them, so that they too may benefit from vocations.
Please take a moment right now to pray for these religious, pray that the Holy Spirit may speak to them through what I said, and that they may be open to the call of our Holy Father to re-evangelize the world, beginning with themselves and their orders -- pray that they may be open to receiving the grace of deeper conversion and a return to the roots of their orders, to the mission of their founders. Pray for their ongoing renewal in Christ. Pray that they may one day "get" us, the new, young, orthodox faithful who are answering the call of Christ today!